• Activity:
What is needed: quote all of the block further below word for word.

• Excerpt:
____________
{"formula": "CrCdO4", "functional": "SCAN", "state": "single point on PBEsol structure", "dos_at_fermi_per_ev_atom": 0.000, "formation_energy_uncorrected_ev_per_atom": -1.710, "final_energy_ev_per_atom": -14.00, "crystal_system": "monoclinic", "relative_energy_mev_per_atom": 16, "lattice_angstrom": [[5.209, -4.847, 0.000], [5.209, 4.847, 0.000], [-1.468, 0.000, 6.924]], "species": ["Cr", "Cr", "Cr", "Cr", "Cd", "Cd", "Cd", "Cd", "O", "O", "O", "O", "O", "O", "O", "O", "O", "O", "O", "O", "O", "O", "O", "O"], "frac_coords": [[0.226, 0.226, 0.581], [0.246, 0.754, 0.000], [0.754, 0.246, 0.000], [0.774, 0.774, 0.419], [0.288, 0.288, 0.126], [0.314, 0.686, 0.500], [0.686, 0.314, 0.500], [0.712, 0.712, 0.874], [0.002, 0.280, 0.518], [0.028, 0.724, 0.899], [0.276, 0.972, 0.101], [0.280, 0.002, 0.518], [0.284, 0.284, 0.812], [0.298, 0.613, 0.173], [0.355, 0.355, 0.461], [0.387, 0.702, 0.827], [0.613, 0.298, 0.173], [0.645, 0.645, 0.539], [0.702, 0.387, 0.827], [0.716, 0.716, 0.188], [0.720, 0.998, 0.482], [0.724, 0.028, 0.899], [0.972, 0.276, 0.101], [0.998, 0.720, 0.482]]}

=====

The following is a DFT calculation (GGA-PBEsol) of crystalline BeSi2Ni at its relaxed geometry.

The density comes out at 4.67 g/cm3. The space group is Pmmm (47). The value obtained for the density of states at the Fermi level is 1.58 states/eV/cell. As for the formation energy (no corrections): -0.028 eV/atom. The calculated volume comes out at 44.1 Å³/f.u. The value obtained for the final energy is -21.8 eV per formula unit.

Lattice parameters (Å, degrees): 2.567 3.453 4.974 90.00 90.00 90.00
Element x y z (fractional)
Be: 0.000 0.000 0.000
Si: 0.500 0.500 0.245
Si: 0.500 0.500 0.755
Ni: 0.000 0.000 0.500

=====

Computed, not measured: a relaxed structure of ZrAlSi2 at the PBE level of DFT.

a b c (Å): 4.7644 4.7644 7.2725
angles (deg): 90.00 90.00 120.00
Last column: nearest neighbours and their distance in Å.
Element x y z (fractional)
Zr 0.0000 0.0000 0.7500  3 Al 2.75, 6 Si 3.00
Si 0.3333 0.6667 0.9143  1 Si 2.39, 1 Al 2.44
Si 0.6667 0.3333 0.0857  1 Si 2.39, 1 Al 2.44
Al 0.6667 0.3333 0.7500  2 Si 2.44
Al 0.3333 0.6667 0.2500  2 Si 2.44
Si 0.3333 0.6667 0.5857  1 Si 2.39, 1 Al 2.44
Si 0.6667 0.3333 0.4143  1 Si 2.39, 1 Al 2.44
Zr 0.0000 0.0000 0.2500  3 Al 2.75, 6 Si 3.00

## Properties
Uncorrected formation energy, eV per atom: 0.27
____________

• Result:
{"formula": "CrCdO4", "functional": "SCAN", "state": "single point on PBEsol structure", "dos_at_fermi_per_ev_atom": 0.000, "formation_energy_uncorrected_ev_per_atom": -1.710, "final_energy_ev_per_atom": -14.00, "crystal_system": "monoclinic", "relative_energy_mev_per_atom": 16, "lattice_angstrom": [[5.209, -4.847, 0.000], [5.209, 4.847, 0.000], [-1.468, 0.000, 6.924]], "species": ["Cr", "Cr", "Cr", "Cr", "Cd", "Cd", "Cd", "Cd", "O", "O", "O", "O", "O", "O", "O", "O", "O", "O", "O", "O", "O", "O", "O", "O"], "frac_coords": [[0.226, 0.226, 0.581], [0.246, 0.754, 0.000], [0.754, 0.246, 0.000], [0.774, 0.774, 0.419], [0.288, 0.288, 0.126], [0.314, 0.686, 0.500], [0.686, 0.314, 0.500], [0.712, 0.712, 0.874], [0.002, 0.280, 0.518], [0.028, 0.724, 0.899], [0.276, 0.972, 0.101], [0.280, 0.002, 0.518], [0.284, 0.284, 0.812], [0.298, 0.613, 0.173], [0.355, 0.355, 0.461], [0.387, 0.702, 0.827], [0.613, 0.298, 0.173], [0.645, 0.645, 0.539], [0.702, 0.387, 0.827], [0.716, 0.716, 0.188], [0.720, 0.998, 0.482], [0.724, 0.028, 0.899], [0.972, 0.276, 0.101], [0.998, 0.720, 0.482]]}

=====

The following is a DFT calculation (GGA-PBEsol) of crystalline BeSi2Ni at its relaxed geometry.

The density comes out at 4.67 g/cm3. The space group is Pmmm (47). The value obtained for the density of states at the Fermi level is 1.58 states/eV/cell. As for the formation energy (no corrections): -0.028 eV/atom. The calculated volume comes out at 44.1 Å³/f.u. The value obtained for the final energy is -21.8 eV per formula unit.

Lattice parameters (Å, degrees): 2.567 3.453 4.974 90.00 90.00 90.00
Element x y z (fractional)
Be: 0.000 0.000 0.000
Si: 0.500 0.500 0.245
Si: 0.500 0.500 0.755
Ni: 0.000 0.000 0.500

=====

Computed, not measured: a relaxed structure of ZrAlSi2 at the PBE level of DFT.

a b c (Å): 4.7644 4.7644 7.2725
angles (deg): 90.00 90.00 120.00
Last column: nearest neighbours and their distance in Å.
Element x y z (fractional)
Zr 0.0000 0.0000 0.7500  3 Al 2.75, 6 Si 3.00
Si 0.3333 0.6667 0.9143  1 Si 2.39, 1 Al 2.44
Si 0.6667 0.3333 0.0857  1 Si 2.39, 1 Al 2.44
Al 0.6667 0.3333 0.7500  2 Si 2.44
Al 0.3333 0.6667 0.2500  2 Si 2.44
Si 0.3333 0.6667 0.5857  1 Si 2.39, 1 Al 2.44
Si 0.6667 0.3333 0.4143  1 Si 2.39, 1 Al 2.44
Zr 0.0000 0.0000 0.2500  3 Al 2.75, 6 Si 3.00

## Properties
Uncorrected formation energy, eV per atom: 0.27